== Contents ==
-- begin --
Entry from OMol25: 5 unconnected molecules or ions with the total composition C24H38NO7P in a non-equilibrium geometry (ωB97M-V/def2-TZVPD).

Geometry (Å):
O 1.80 -1.86 0.46
P 1.51 -0.40 0.04
C -0.37 -0.12 -0.04
C -0.92 1.33 -0.29
C -2.47 1.62 -0.32
C -3.39 0.40 -0.07
C -2.84 -1.03 0.13
C -1.32 -1.33 0.16
C -4.12 -1.97 0.32
O -4.17 -3.20 0.61
N -5.30 -1.17 0.05
C -4.97 0.26 0.02
O -5.81 1.19 0.09
H 2.11 -0.04 -1.21
H 1.99 0.49 1.08
H -0.19 2.20 -0.46
H -2.91 2.65 -0.48
H -0.94 -2.40 0.32
H -6.18 -1.45 0.51
C -4.20 -2.10 4.27
C -3.20 -2.88 5.10
C -1.88 -2.33 4.60
O -2.12 -0.97 4.22
C -3.54 -0.74 4.19
H -5.20 -2.06 4.72
H -4.28 -2.53 3.27
H -3.34 -2.65 6.16
H -3.28 -3.96 4.97
H -1.53 -2.87 3.72
H -1.10 -2.36 5.36
H -3.80 -0.12 5.05
H -3.81 -0.21 3.27
C 4.48 -3.41 -1.44
C 5.53 -3.18 -2.51
C 5.52 -1.67 -2.65
O 5.18 -1.14 -1.36
C 4.70 -2.21 -0.53
H 4.58 -4.36 -0.92
H 3.48 -3.36 -1.88
H 6.50 -3.52 -2.15
H 5.31 -3.70 -3.45
H 4.77 -1.34 -3.36
H 6.49 -1.28 -2.96
H 5.47 -2.42 0.22
H 3.79 -1.91 -0.02
C -7.64 3.04 2.39
C -7.65 4.45 2.94
C -6.54 4.39 3.97
O -5.58 3.43 3.50
C -6.16 2.71 2.40
H -8.09 2.96 1.40
H -8.18 2.38 3.07
H -7.38 5.16 2.14
H -8.61 4.76 3.36
H -6.91 4.05 4.94
H -6.04 5.36 4.11
H -5.67 3.04 1.49
H -5.98 1.64 2.53
C 8.13 2.18 -5.20
C 8.30 1.82 -6.66
C 8.44 0.31 -6.59
O 7.67 -0.13 -5.46
C 7.31 1.02 -4.68
H 7.64 3.15 -5.04
H 9.10 2.20 -4.70
H 7.40 2.09 -7.22
H 9.15 2.30 -7.13
H 9.48 0.01 -6.43
H 8.07 -0.19 -7.49
H 6.24 1.19 -4.82
H 7.49 0.81 -3.62

## Properties
* charge: 0
* HOMO: -9.07 eV
* SMILES string: O=[PH2]c1ccc2c(c1)C(=O)NC2=O.C1CCOC1.C1CCOC1.C1CCOC1.C1CCOC1
* LUMO level: -1.408 eV
* orbital gap: 7.666 eV

Entry from OMol25: a molecular structure, C40H60IN2O5PSe2SiSn (ωB97M-V/def2-TZVPD).

Geometry (Å):
Sn 0.64 -0.14 -0.42
C 0.94 -3.40 -2.84
Se 1.46 -3.18 -0.98
C 0.21 -4.50 -0.26
C -1.18 -3.96 0.04
Se -1.28 -2.74 1.56
C -0.97 -4.07 2.94
H 1.23 -4.39 -3.19
H 1.47 -2.64 -3.40
H -0.13 -3.24 -2.95
H 0.68 -4.94 0.61
H 0.14 -5.27 -1.03
H -1.87 -4.78 0.27
H -1.58 -3.40 -0.80
H -1.65 -4.91 2.79
H -1.17 -3.60 3.90
H 0.06 -4.43 2.92
O 2.14 -1.87 1.91
C 2.91 -1.15 2.85
C 2.16 0.00 3.50
C 2.48 0.42 4.78
C 1.79 1.48 5.34
C 0.79 2.09 4.60
C 0.53 1.60 3.33
N 1.20 0.59 2.78
H 1.34 -2.20 2.32
H 3.76 -0.75 2.29
H 3.31 -1.80 3.63
H 3.27 -0.09 5.34
H 2.03 1.82 6.34
H 0.22 2.92 4.99
H -0.25 2.03 2.71
N -2.41 1.12 1.26
C -2.63 2.46 1.59
C -3.55 2.79 2.59
C -3.76 4.11 2.95
C -3.08 5.13 2.31
C -2.16 4.81 1.32
C -1.90 3.49 0.96
P -0.60 3.02 -0.24
C 0.42 4.55 -0.25
C 1.27 4.72 0.85
C 2.07 5.85 0.95
C 2.03 6.82 -0.04
C 1.20 6.64 -1.14
C 0.40 5.51 -1.24
C -1.45 3.07 -1.86
C -2.81 3.30 -2.00
C -3.40 3.25 -3.26
C -2.64 2.96 -4.38
C -1.28 2.72 -4.24
C -0.68 2.76 -2.99
H -2.31 0.91 0.28
H -3.04 0.47 1.70
H -4.09 1.99 3.09
H -4.48 4.34 3.73
H -3.26 6.16 2.57
H -1.61 5.61 0.83
H 1.31 3.96 1.62
H 2.72 5.97 1.81
H 2.66 7.70 0.03
H 1.18 7.39 -1.92
H -0.25 5.40 -2.10
H -3.41 3.53 -1.13
H -4.47 3.42 -3.36
H -3.10 2.91 -5.36
H -0.68 2.47 -5.11
H 0.37 2.51 -2.88
I -1.67 -0.68 -1.91
C 4.56 -3.40 -3.11
C 4.81 -2.06 -2.43
C 5.92 -1.31 -3.17
C 5.20 -2.26 -0.97
O 3.55 -1.36 -2.45
Si 3.24 0.26 -2.50
O 1.70 0.46 -2.09
O 3.54 0.91 -3.97
C 2.86 0.82 -5.23
C 1.64 -0.09 -5.14
C 2.44 2.24 -5.59
C 3.85 0.28 -6.25
O 4.31 0.95 -1.46
C 4.70 2.33 -1.34
C 5.89 2.59 -2.25
C 5.08 2.52 0.12
C 3.54 3.24 -1.70
H 5.48 -3.98 -3.16
H 4.20 -3.23 -4.13
H 3.80 -3.97 -2.57
H 6.82 -1.92 -3.16
H 6.13 -0.35 -2.69
H 5.63 -1.12 -4.21
H 6.15 -2.79 -0.89
H 4.43 -2.84 -0.45
H 5.30 -1.29 -0.49
H 0.95 0.25 -4.37
H 1.96 -1.11 -4.89
H 1.12 -0.12 -6.10
H 1.82 2.65 -4.80
H 1.88 2.25 -6.53
H 3.32 2.88 -5.71
H 4.15 -0.74 -5.99
H 4.74 0.91 -6.29
H 3.39 0.25 -7.24
H 6.76 2.00 -1.94
H 6.17 3.65 -2.22
H 5.64 2.33 -3.28
H 5.88 1.83 0.39
H 4.22 2.33 0.76
H 5.43 3.54 0.29
H 3.33 3.20 -2.78
H 3.76 4.28 -1.43
H 2.64 2.92 -1.18

## Properties
* charge: 0
* HOMO: -7.32 eV
* energy above the lowest of the compared OMol25 structures with the same formula, charge and spin: 0.043 eV
* LUMO level: 0.293 eV
-- stop --

== What to do ==
Please copy the lines further up up to the one that holds "-0.25 5.40", that line included.

== Completed ==
Entry from OMol25: 5 unconnected molecules or ions with the total composition C24H38NO7P in a non-equilibrium geometry (ωB97M-V/def2-TZVPD).

Geometry (Å):
O 1.80 -1.86 0.46
P 1.51 -0.40 0.04
C -0.37 -0.12 -0.04
C -0.92 1.33 -0.29
C -2.47 1.62 -0.32
C -3.39 0.40 -0.07
C -2.84 -1.03 0.13
C -1.32 -1.33 0.16
C -4.12 -1.97 0.32
O -4.17 -3.20 0.61
N -5.30 -1.17 0.05
C -4.97 0.26 0.02
O -5.81 1.19 0.09
H 2.11 -0.04 -1.21
H 1.99 0.49 1.08
H -0.19 2.20 -0.46
H -2.91 2.65 -0.48
H -0.94 -2.40 0.32
H -6.18 -1.45 0.51
C -4.20 -2.10 4.27
C -3.20 -2.88 5.10
C -1.88 -2.33 4.60
O -2.12 -0.97 4.22
C -3.54 -0.74 4.19
H -5.20 -2.06 4.72
H -4.28 -2.53 3.27
H -3.34 -2.65 6.16
H -3.28 -3.96 4.97
H -1.53 -2.87 3.72
H -1.10 -2.36 5.36
H -3.80 -0.12 5.05
H -3.81 -0.21 3.27
C 4.48 -3.41 -1.44
C 5.53 -3.18 -2.51
C 5.52 -1.67 -2.65
O 5.18 -1.14 -1.36
C 4.70 -2.21 -0.53
H 4.58 -4.36 -0.92
H 3.48 -3.36 -1.88
H 6.50 -3.52 -2.15
H 5.31 -3.70 -3.45
H 4.77 -1.34 -3.36
H 6.49 -1.28 -2.96
H 5.47 -2.42 0.22
H 3.79 -1.91 -0.02
C -7.64 3.04 2.39
C -7.65 4.45 2.94
C -6.54 4.39 3.97
O -5.58 3.43 3.50
C -6.16 2.71 2.40
H -8.09 2.96 1.40
H -8.18 2.38 3.07
H -7.38 5.16 2.14
H -8.61 4.76 3.36
H -6.91 4.05 4.94
H -6.04 5.36 4.11
H -5.67 3.04 1.49
H -5.98 1.64 2.53
C 8.13 2.18 -5.20
C 8.30 1.82 -6.66
C 8.44 0.31 -6.59
O 7.67 -0.13 -5.46
C 7.31 1.02 -4.68
H 7.64 3.15 -5.04
H 9.10 2.20 -4.70
H 7.40 2.09 -7.22
H 9.15 2.30 -7.13
H 9.48 0.01 -6.43
H 8.07 -0.19 -7.49
H 6.24 1.19 -4.82
H 7.49 0.81 -3.62

## Properties
* charge: 0
* HOMO: -9.07 eV
* SMILES string: O=[PH2]c1ccc2c(c1)C(=O)NC2=O.C1CCOC1.C1CCOC1.C1CCOC1.C1CCOC1
* LUMO level: -1.408 eV
* orbital gap: 7.666 eV

Entry from OMol25: a molecular structure, C40H60IN2O5PSe2SiSn (ωB97M-V/def2-TZVPD).

Geometry (Å):
Sn 0.64 -0.14 -0.42
C 0.94 -3.40 -2.84
Se 1.46 -3.18 -0.98
C 0.21 -4.50 -0.26
C -1.18 -3.96 0.04
Se -1.28 -2.74 1.56
C -0.97 -4.07 2.94
H 1.23 -4.39 -3.19
H 1.47 -2.64 -3.40
H -0.13 -3.24 -2.95
H 0.68 -4.94 0.61
H 0.14 -5.27 -1.03
H -1.87 -4.78 0.27
H -1.58 -3.40 -0.80
H -1.65 -4.91 2.79
H -1.17 -3.60 3.90
H 0.06 -4.43 2.92
O 2.14 -1.87 1.91
C 2.91 -1.15 2.85
C 2.16 0.00 3.50
C 2.48 0.42 4.78
C 1.79 1.48 5.34
C 0.79 2.09 4.60
C 0.53 1.60 3.33
N 1.20 0.59 2.78
H 1.34 -2.20 2.32
H 3.76 -0.75 2.29
H 3.31 -1.80 3.63
H 3.27 -0.09 5.34
H 2.03 1.82 6.34
H 0.22 2.92 4.99
H -0.25 2.03 2.71
N -2.41 1.12 1.26
C -2.63 2.46 1.59
C -3.55 2.79 2.59
C -3.76 4.11 2.95
C -3.08 5.13 2.31
C -2.16 4.81 1.32
C -1.90 3.49 0.96
P -0.60 3.02 -0.24
C 0.42 4.55 -0.25
C 1.27 4.72 0.85
C 2.07 5.85 0.95
C 2.03 6.82 -0.04
C 1.20 6.64 -1.14
C 0.40 5.51 -1.24
C -1.45 3.07 -1.86
C -2.81 3.30 -2.00
C -3.40 3.25 -3.26
C -2.64 2.96 -4.38
C -1.28 2.72 -4.24
C -0.68 2.76 -2.99
H -2.31 0.91 0.28
H -3.04 0.47 1.70
H -4.09 1.99 3.09
H -4.48 4.34 3.73
H -3.26 6.16 2.57
H -1.61 5.61 0.83
H 1.31 3.96 1.62
H 2.72 5.97 1.81
H 2.66 7.70 0.03
H 1.18 7.39 -1.92
H -0.25 5.40 -2.10